Thursday, 28 May 2015

Special Offer: USB 3.0 64GB Fast Removable Flash drive under £24 (UK Only) + fix for Lexar S25 JumpDrive!

Fed up with waiting for Easy2Boot to boot? Want to install Windows 8 from an E2B Flash drive really quickly? Want to boot to WindowsToGo 8.1 from a Flash drive and run Windows almost as fast as you can from an internal hard disk?
For UK users go here and enter the code EXT20 at the checkout to get one of these for just £23.99 (P&P free)! Note: MyMemory sometimes sell the same product on eBay for a cheaper price - also try Tesco Direct (£17 June-2016)!

SanDisk Extreme Cruzer USB 3.0 64GB with retractable connector.
10GB file write > NTFS  71 seconds

A cheaper alternative is the Lexar USB 3.0 64GB S25 JumpDrive. Horrible cheap plastic construction though! Like the SanDisk, it also has an activity LED. This did not work in two of the three USB sockets on my EeePC - LED did not flash when connected (all other types of USB drives worked in all USB sockets) - see below for how I fixed it!  10GB file write > NTFS  154 seconds  (half the speed of the SanDisk on writes!)  I would suggest the Lexar S75, which has a metal USB connector, would be more reliable!

Give your pet a USB Flash drive!

Have you got a cat or dog? Are you frustrated by the small amount of info you can add to it's collar ID tag or the tiny piece of paper inside the ID tube which always seems to get wet or fade with age even if you wrap it in cling film/Saran wrap first?

Why not attach a small spare flash drive which contains ALL of the pet's details (pet's name, your name, address (map + pictures of your house), all Tel. numbers (mobile and home), email addresses, Skype address, What'sApp account, Facebook account, Twitter account,  pet's favourite food, any allergies, dietary requirements, if pet is microchipped or not, birth date, sex, description, neutered or not, pictures of the pet and owners, name and address of vet, etc.).

The flash drive should be waterproof and small, something like the Verbatim Tuff-n-Tiny would do.

If it's for a dog, why not add Easy2Boot and a puppy linux ISO too! changes

I have signed up with Ezoic to manage the page layout and Adsense ad placement on that site. You may notice that the page layout of has changed. 10% of hits will return the old site pages and layout, all other hits will return various new, experimental layouts. Ezoic will then collect stats to see which layout people prefer, etc. The experiment may take a month or so, after which the 'winning layout' will become the 'normal' layout. Cookies are used to ensure the same user always sees the same layout.
The site may also seem slower for a few days whilst it caches all the different web pages, but bear with it and it should soon get better in both performance and appearance.

Saturday, 23 May 2015

Testing E2B UEFI and MBR\BIOS automated Windows installs using XML answer files

E2B copies the contents of your chosen XML file into the 100K blank  \AutoUnattend.xml file before it boots from the ISO file.
When you run a Windows Install ISO from E2B on a Removable USB drive on a real system, Windows Setup\PE will automatically read the \AutoUnattend.xml file located at the root of the USB drive.

However, If you try to run a Windows 7/8/8.1 Windows install ISO under a VM (e.g. Virtual Box), you will find that you will need to type SHIFT+F10 and then run \_ISO\e2b\firadisk\LOADISO.CMD in order to get the ISO to load as a virtual disk. This is because the \AutoUnattend.XML file is completely ignored by Windows because it does not 'see' the USB drive as a 'Removable' drive.

The problem is that if there are any other settings in the XML file (e.g. Product Key or other automated settings), then these settings are not picked up by Setup because the XML file is never read. This means we cannot run a fully unattended Windows install using one of the unattended XML files that we can create using the Windows Answer File Generator and XMLtoE2B.

As I didn't have a spare UEFI system to test automated installs with, I worked out a way to use Virtual Box instead...

XMLtoE2B Demo available

I have added a Demo version of XMLtoE2B.exe to the Alternate Download Areas for anyone who wants to play with it. I have tested MBR\Legacy installs and Windows 8 UEFI\GPT installs using it.
A Licence file is available to anyone who has donated £10 or more - please contact me if you want one.

Instructions for using XMLtoE2B are at

Friday, 22 May 2015

XMLtoE2B work continues...

I am still working on the XMLtoE2B.exe utility. Now it allows you to load different Disk Configuration files so that you can automate UEFI/GPT installs.
I also added a 'No User Accounts (Administrator only)  checkbox - this deletes any Local User accounts set up by WAFG and sets the AutoLogon Account Name to 'Administrator'. This has the affect of enabling the Administrator account.

Still loads more testing to do...

Thursday, 21 May 2015

_Inserted here: crystal structures_
____________
1.
This record from Alexandria via LeMat-Bulk describes crystalline Ba3PmNp2O9 at its relaxed geometry. The functional is GGA-PBE.

Values from the calculation:
Total DFT energy (no corrections) in eV/atom: -8.4136
SG: No. 164
Crystal system: trigonal
ΔE_f (raw) in eV/f.u.: -45.18

a = 6.2842 Å, b = 6.2842 Å, c = 7.6981 Å
α = 90.00°, β = 90.00°, γ = 120.00°
Each line ends with the local moment (μB).
Element x y z (fractional)
1 O 0.8272 0.1728 0.6749  -0.04
2 O 0.0000 0.5000 0.0000  -0.07
3 O 0.8272 0.6543 0.6749  -0.04
4 O 0.1728 0.3457 0.3251  -0.04
5 O 0.5000 0.0000 0.0000  -0.07
6 O 0.1728 0.8272 0.3251  -0.04
7 O 0.5000 0.5000 0.0000  -0.07
8 O 0.3457 0.1728 0.6749  -0.04
9 O 0.6543 0.8272 0.3251  -0.04
10 Np 0.6667 0.3333 0.8367  2.63
11 Np 0.3333 0.6667 0.1633  2.63
12 Ba 0.6667 0.3333 0.3398  0.01
13 Ba 0.0000 0.0000 0.0000  0.02
14 Ba 0.3333 0.6667 0.6602  0.01
15 Pm 0.0000 0.0000 0.5000  0.00

***

2.
This record from Alexandria via LeMat-Bulk describes crystalline Ba2PmNpO6 at its relaxed geometry. The functional is GGA-PBE.

Values from the calculation:
Total DFT energy (no corrections) in eV/atom: -8.1639
SG: No. 59
Crystal system: orthorhombic
ΔE_f (raw) in eV/f.u.: -30.35

a = 6.2908 Å, b = 6.3119 Å, c = 8.9007 Å
α = 90.00°, β = 90.00°, γ = 90.00°
Each line ends with the local moment (μB).
Element x y z (fractional)
1 O 0.2428 0.5177 0.0000  -0.04
2 O 0.5000 0.2330 0.7406  -0.04
3 O 0.2611 0.0038 0.5000  -0.04
4 O 0.7572 0.5177 0.0000  -0.04
5 O 0.2389 0.9962 0.0000  -0.04
6 O 0.0000 0.7670 0.7594  -0.04
7 O 0.2572 0.4823 0.5000  -0.04
8 O 0.5000 0.2330 0.2594  -0.04
9 O 0.7428 0.4823 0.5000  -0.04
10 O 0.0000 0.7670 0.2406  -0.04
11 O 0.7611 0.9962 0.0000  -0.04
12 O 0.7389 0.0038 0.5000  -0.04
13 Ba 0.5000 0.7637 0.7517  0.01
14 Ba 0.0000 0.2363 0.2517  0.01
15 Ba 0.5000 0.7637 0.2483  0.01
16 Ba 0.0000 0.2363 0.7483  0.01
17 Np 0.0000 0.7545 0.0000  2.17
18 Np 0.5000 0.2455 0.5000  2.17
19 Pm 0.0000 0.7425 0.5000  0.00
20 Pm 0.5000 0.2575 0.0000  0.00

***

3.
This record from Alexandria via LeMat-Bulk describes crystalline Ba3PrNp2O9 at its relaxed geometry. The functional is GGA-PBE.

Values from the calculation:
Total DFT energy (no corrections) in eV/atom: -8.3846
SG: No. 164
Crystal system: trigonal
ΔE_f (raw) in eV/f.u.: -44.72

a = 6.3159 Å, b = 6.3159 Å, c = 7.7387 Å
α = 90.00°, β = 90.00°, γ = 120.00°
Each line ends with the local moment (μB).
Element x y z (fractional)
1 O 0.8260 0.1740 0.6776  -0.04
2 O 0.5000 0.5000 0.0000  -0.07
3 O 0.6521 0.8260 0.3224  -0.04
4 O 0.0000 0.5000 0.0000  -0.07
5 O 0.5000 0.0000 0.0000  -0.07
6 O 0.1740 0.8260 0.3224  -0.04
7 O 0.3479 0.1740 0.6776  -0.04
8 O 0.1740 0.3479 0.3224  -0.04
9 O 0.8260 0.6521 0.6776  -0.04
10 Pr 0.0000 0.0000 0.5000  0.01
11 Np 0.3333 0.6667 0.1616  2.63
12 Np 0.6667 0.3333 0.8384  2.63
13 Ba 0.3333 0.6667 0.6631  0.01
14 Ba 0.0000 0.0000 0.0000  0.02
15 Ba 0.6667 0.3333 0.3369  0.01

***

4.
____________
_So much for the crystal structures_

E2B 1.68 (bugfix for 1.67)

Noam reported to me that the first menu entry in the MemTest menu (Ctrl-U -> Ctrl+M) does not work but just returns to the main menu.
It turns out this is a bug in 1.67 to do with using a .txt file with a payload file.
Please update to 1.68.
  • New grldr 0.46a,
  • auto win7/8/8.1 XML files added for fully automated installs.
  • 'Load_ISO (no prompt to Repair).XML' files added. 
  • LOADISNP.CMD added (does not prompt to repair system).
  • Bugfix to CountISOs.g4b. 
  • BugFix for .txt files stopping the menu entry from working (QAUTO.g4b and AUTOMN.g4b).

Thursday, 14 May 2015

Easy2Boot and automating Windows 7/8 installs using Unattend.xml files

I have had a few enquiries about automating Windows 7/8/8.1 installs using an XML file recently when using Easy2Boot and an unmodified Windows Install ISO from a USB drive, so I thought I would give a few pointers in this blog.

First you need to decide if you are going to install directly from an ISO or from a .imgPTN file (made from an ISO).

Note: E2B v1.82+ includes a new 'SDI_CHOCO' feature. This allows you to install drivers, applications and Windows Updates automatically.

Update: E2B v2 includes agFM which you can UEFI-boot to and directly run a Windows Install ISO and pick an XML file. This means you do not need to make an .imgPTN file. Also, a removable USB drive is not required, and USB E2B drive should work on most systems.

Monday, 11 May 2015

Easy2Boot 1.67 released

  • $NAME$ now supported in .mnu and .txt files
  • QAUTO.g4b and AUTOMN.g4b changed so .txt files with no \n (help) now end in \n to suppress g4d default help text. 
  • Only first line in .txt files are now used (others ignored). 
  • RMPartUSB and grubinst added so RMPrepUSB no longer needs to be installed to make a USB drive. 
  • Update_E2B_Drive.cmd updated to use xcopy if robocopy not available for XP systems. 
  • Fixed problem with spaces in pathnames in Update_E2B_Drive.cmd.
  • New grub4dos 0.4.6a can now write to small NTFS files (fixes long-standing bug/'feature') + blocklist command enhanced.

WIth the new version of grub4dos, small 'resident data' files now display the location of the resident data inside the $mft entry - e.g. screenshot above shows /menu.lst data contents are stored in the $mft resident record in relative sector 94 (and 95), from bytes 328 to 901.

Friday, 8 May 2015

E2B 1.67 Beta D with new grub4dos

yaya (a grub4dos developer) has fixed a long-standing problem with grub4dos with the latest 0.4.6a version (2015-05-08). E2B 1.67 Beta D uses this new version of \grldr.

In all previous versions, grub4dos could not write to small files on an NTFS volume. This was due to the way that NTFS stores the data of small files inside it's 'directory' record. This type of data is called resident data. Once the file exceeds the available space in the resident area (typically between 700 and 800 bytes) then it stores all the data in clusters outside of this area (the data space in the resident area is thus unused and used to store the used cluster information, if the file is larger than 800-ish bytes).

These crystal structures were left in the piece by mistake >
Material: MgCrGe2O6
Method: DFT, PBE+U
State: optimized geometry

Values from the calculation:
**Crystal system**: monoclinic

Cell: 6.664 6.664 5.330 Å, 95.69 95.69 85.26°
Element x y z (fractional)
Mg 0.230 0.770 0.750
Mg 0.770 0.230 0.250
Cr 0.408 0.592 0.250
Cr 0.592 0.408 0.750
Ge 0.103 0.290 0.777
Ge 0.290 0.103 0.277
Ge 0.710 0.897 0.723
Ge 0.897 0.710 0.223
O 0.066 0.209 0.090
O 0.127 0.646 0.389
O 0.209 0.066 0.590
O 0.285 0.468 0.840
O 0.354 0.873 0.111
O 0.468 0.285 0.340
O 0.532 0.715 0.660
O 0.646 0.127 0.889
O 0.715 0.532 0.160
O 0.791 0.934 0.410
O 0.873 0.354 0.611
O 0.934 0.791 0.910

Material: Mg3Cr2Ge3O12
Method: DFT, PBE+U
State: optimized geometry

Values from the calculation:
**Crystal system**: cubic

Cell: 10.434 10.434 10.434 Å, 109.47 109.47 109.47°
Element x y z (fractional)
Mg 0.125 0.250 0.375
Mg 0.125 0.375 0.750
Mg 0.250 0.375 0.125
Mg 0.250 0.875 0.625
Mg 0.375 0.125 0.250
Mg 0.375 0.750 0.125
Mg 0.625 0.250 0.875
Mg 0.625 0.875 0.750
Mg 0.750 0.125 0.375
Mg 0.750 0.625 0.875
Mg 0.875 0.625 0.250
Mg 0.875 0.750 0.625
Cr 0.000 0.000 0.000
Cr 0.000 0.000 0.500
Cr 0.000 0.500 0.000
Cr 0.000 0.500 0.500
Cr 0.500 0.000 0.000
Cr 0.500 0.000 0.500
Cr 0.500 0.500 0.000
Cr 0.500 0.500 0.500
Ge 0.125 0.750 0.875
Ge 0.125 0.875 0.250
Ge 0.250 0.125 0.875
Ge 0.250 0.625 0.375
Ge 0.375 0.250 0.625
Ge 0.375 0.625 0.750
Ge 0.625 0.375 0.250
Ge 0.625 0.750 0.375
Ge 0.750 0.375 0.625
Ge 0.750 0.875 0.125
Ge 0.875 0.125 0.750
Ge 0.875 0.250 0.125
O 0.028 0.210 0.127
O 0.028 0.318 0.901
O 0.083 0.710 0.682
O 0.083 0.873 0.401
O 0.099 0.627 0.417
O 0.099 0.972 0.682
O 0.127 0.028 0.210
O 0.127 0.599 0.917
O 0.182 0.210 0.583
O 0.182 0.472 0.599
O 0.210 0.127 0.028
O 0.210 0.583 0.182
O 0.290 0.318 0.917
O 0.290 0.472 0.373
O 0.318 0.901 0.028
O 0.318 0.917 0.290
O 0.373 0.290 0.472
O 0.373 0.583 0.901
O 0.401 0.083 0.873
O 0.401 0.818 0.528
O 0.417 0.099 0.627
O 0.417 0.818 0.790
O 0.472 0.373 0.290
O 0.472 0.599 0.182
O 0.528 0.401 0.818
O 0.528 0.627 0.710
O 0.583 0.182 0.210
O 0.583 0.901 0.373
O 0.599 0.182 0.472
O 0.599 0.917 0.127
O 0.627 0.417 0.099
O 0.627 0.710 0.528
O 0.682 0.083 0.710
O 0.682 0.099 0.972
O 0.710 0.528 0.627
O 0.710 0.682 0.083
O 0.790 0.417 0.818
O 0.790 0.873 0.972
O 0.818 0.528 0.401
O 0.818 0.790 0.417
O 0.873 0.401 0.083
O 0.873 0.972 0.790
O 0.901 0.028 0.318
O 0.901 0.373 0.583
O 0.917 0.127 0.599
O 0.917 0.290 0.318
O 0.972 0.682 0.099
O 0.972 0.790 0.873

no.,electronic total energy (eV/cell),DOS at the Fermi energy (states/eV per cell)
1,-133.7,1.296
2,-536.8,0.000

=====

Record 1
Material: Pm2Sm3In7
Method: DFT, PBE
State: relaxed Values from VASP.

Structure (Quantum ESPRESSO input):
```
&SYSTEM
  ibrav = 0, nat = 12, ntyp = 3
/
ATOMIC_SPECIES
Sm 150.36 Sm.upf
Pm 145.00 Pm.upf
In 114.82 In.upf
ATOMIC_POSITIONS angstrom
Sm 2.3032 -0.7125 2.9110
Pm 6.2211 6.9531 -0.8705
Pm 1.5751 3.2883 -0.4414
Sm 3.9791 2.7861 2.4414
Sm 3.6995 8.2365 1.6467
In 4.6546 9.7171 -1.3045
In 4.8032 3.9931 -0.4731
The piece goes on >

Older versions of grub4dos could not update the resident data area:
echo fred > file300bytes.txt
did not work with older versions of grub4dos, but now it does!

Note that grub4dos still cannot write more bytes than was originally contained in the file - i.e. you cannot overwrite a file containing 300 bytes with 301 bytes - the last byte will not be written.

You can detect these small 'resident data' NTFS files using the blocklist command:

f700 is a 700 byte resident file and does not list any used sectors.
f800 is an 800 byte files and lists two used 512-byte sectors.

Note that it is possible for a small file (e.g. 100 bytes) to be a non-resident file. This usually occurs when a larger, non-resident file has been reduced in length (e.g. a 900-byte file has been edited to be 100 bytes and saved as the same file).

The latest version of grub4dos shows the position of the resident data.